Environmental Values and Impacts
Forests are vital ecosystems harbouring most of the world’s terrestrial biodiversity. They provide ecosystem services that are critical to human welfare, from reliable flows of clean water to productive soil and carbon sequestration. In FSC-certified forests around the world, valuable ecosystem services are protected, and studies have shown the positive contribution FSC-certified forest management operations have for local wildlife.
FSC is dedicated to protecting the ecological function of forests and conserving priority biodiversity areas around the world. To reward the protection of forest ecosystem services, FSC developed the Ecosystem Services Procedure that enables forest managers to demonstrate and market verified positive impacts on ecosystem services.
Under Principle 6, forest managers or owners are required to maintain, conserve and/or restore ecosystem services and environmental values of the Management Unit, and to avoid, repair or mitigate negative environmental impacts. The criterion within Principle 6 include requirements to undertake environmental impact assessments prior to any-site disturbing activities and integrate the results into management planning to ensure actions are taken to mitigate negative impacts. There are also explicit requirements that outline protections for rare and threatened species, water courses and native species.
The full range of issues covered within the 10 Criteria under Principle 6 are:

Criterion 6.1
Assessing environmental values inside and outside the Management Unit potentially affected by management activities.
Criterion 6.2
Identifying scale, intensity and risk of potential impacts on environmental values prior to the start of site-disturbing activities.
Criterion 6.3
Implementing actions to prevent potential negative impacts and mitigate those that occur.
Criterion 6.4
Protecting rare species and threatened species and their habitats.
Criterion 6.5
Protecting representative sample areas of native ecosystems or restoring them to more natural conditions.
Criterion 6.6
Maintaining continued existence of naturally occurring native species and genotypes and prevent losses of biological diversity.
Criterion 6.7
Protecting or restoring natural water courses, water bodies, riparian zones and their connectivity.
**Inserted here: data records**
+++
{"formula": "C38H46AsBrN3OPPtS", "method": "ωB97M-V with the def2-TZVPD basis set", "symbols": ["Pt", "S", "C", "C", "C", "C", "C", "C", "As", "C", "C", "C", "C", "C", "C", "C", "C", "C", "C", "C", "C", "H", "H", "H", "H", "H", "H", "H", "H", "H", "H", "H", "H", "H", "H", "C", "C", "C", "C", "C", "C", "C", "Br", "C", "O", "C", "C", "C", "C", "C", "C", "H", "H", "H", "H", "H", "H", "H", "H", "H", "H", "H", "H", "H", "H", "H", "H", "H", "H", "H", "H", "C", "N", "C", "N", "C", "N", "C", "P", "C", "C", "H", "H", "H", "H", "H", "H", "H", "H", "H", "H", "H", "H"], "coordinates": [[0.15477, -0.46045, 0.39163], [1.15750, -1.12086, 2.35343], [2.73544, -1.82556, 1.99796], [3.32520, -2.70573, 2.90101], [4.59440, -3.20510, 2.64756], [5.27913, -2.84228, 1.49506], [4.68854, -1.96505, 0.59563], [3.42496, -1.45154, 0.85382], [2.50492, -0.21778, -0.31615], [3.34047, 1.48264, 0.06508], [4.26490, 1.61811, 1.09304], [4.81255, 2.86443, 1.36782], [4.43802, 3.97034, 0.62026], [3.50707, 3.83658, -0.40152], [2.95153, 2.59662, -0.67685], [3.33056, -0.79461, -1.96792], [2.91385, -2.00185, -2.51879], [3.53200, -2.49197, -3.65770], [4.56772, -1.77871, -4.24809], [4.98489, -0.57775, -3.69559], [4.36841, -0.08307, -2.55254], [2.78800, -2.99974, 3.79383], [5.04499, -3.89405, 3.35063], [6.26197, -3.24592, 1.29187], [5.21428, -1.68363, -0.30895], [4.55866, 0.75677, 1.68015], [5.53124, 2.96914, 2.17029], [4.86646, 4.94021, 0.83775], [3.20581, 4.69974, -0.98076], [2.21445, 2.49662, -1.46555], [2.09956, -2.55484, -2.06309], [3.20262, -3.42903, -4.08728], [5.04652, -2.15956, -5.14072], [5.79143, -0.01963, -4.15315], [4.69562, 0.85650, -2.12550], [-0.31248, 5.32912, -5.26197], [-1.50526, 5.20290, -4.31343], [-2.78848, 5.11991, -5.15264], [-1.55573, 6.46363, -3.43966], [-1.40049, 3.96135, -3.43392], [-0.46609, 2.96752, -3.62857], [-0.42296, 1.86378, -2.78411], [0.88246, 0.55557, -3.21274], [-1.26923, 1.66335, -1.68875], [-1.16401, 0.72034, -0.78384], [-2.31814, 2.63988, -1.57303], [-2.32433, 3.74112, -2.40851], [-3.48591, 2.41663, -0.60819], [-4.47327, 3.58913, -0.56384], [-4.26249, 1.20856, -1.16012], [-3.01307, 2.20125, 0.83710], [-0.38279, 6.26608, -5.81750], [-0.28775, 4.51532, -5.98906], [0.63315, 5.32982, -4.71618], [-2.88639, 6.00050, -5.79267], [-3.67217, 5.06518, -4.51468], [-2.77663, 4.23152, -5.78641], [-1.60089, 7.35592, -4.06841], [-0.66799, 6.53265, -2.80816], [-2.43130, 6.47184, -2.78990], [0.25855, 3.01892, -4.42886], [-3.10280, 4.47691, -2.27266], [-4.91796, 3.79725, -1.53766], [-4.00452, 4.50202, -0.19066], [-5.28813, 3.33073, 0.11602], [-4.69750, 1.47610, -2.12522], [-5.08056, 0.91864, -0.49324], [-3.60573, 0.35668, -1.32192], [-2.55095, 3.11676, 1.21371], [-2.27364, 1.40781, 0.90578], [-3.86996, 1.97472, 1.48017], [-4.40057, -1.55750, 2.87346], [-3.18835, -1.60625, 3.68946], [-2.76806, -3.00029, 3.82546], [-2.59609, -3.69887, 2.55288], [-3.82858, -3.57965, 1.77674], [-4.25879, -2.20029, 1.56944], [-3.34114, -1.45426, 0.70389], [-1.65829, -1.37401, 1.43876], [-2.13088, -0.77308, 3.11491], [-1.45418, -3.17032, 1.80830], [-4.69460, -0.51604, 2.73038], [-5.19401, -2.07334, 3.41845], [-3.53455, -3.52614, 4.39867], [-1.82975, -3.03742, 4.38155], [-4.62203, -4.10263, 2.31470], [-3.68935, -4.06291, 0.80798], [-3.71669, -0.44206, 0.58018], [-3.29173, -1.91232, -0.28571], [-2.48549, 0.25649, 3.02515], [-1.25636, -0.77080, 3.76633], [-0.53246, -3.31309, 2.37154], [-1.35345, -3.70523, 0.86026]], "e_above_lowest_ev": 0.000, "homo_ev": -7.063, "largest_force_ev_per_a": 0.91, "energy_ha": -7383.8139, "multiplicity": 1, "e_lumo_ev": -0.005, "gap_ha": 0.2594}
+++
Criterion 6.8
Maintaining or restoring a varying mosaic of species, sizes, ages, spatial scales and regeneration cycles appropriate for the landscape values in the region.
Criterion 6.9
Not converting natural forests to plantations, nor natural forests or plantations on sites directly converted from natural forest to non-forest land use.
Criterion 6.10
Disqualifying plantations established on areas converted from natural forest after November 1994 from certification except in certain circumstances.
(For the full text of each Criterion, see the Principles and Criteria.)
For FSC Forest Management certificate holders, compliance with these requirements is assessed by independent certification bodies using the set of indicators adapted to national, regional or local conditions in the applicable approved forest stewardship standard.
What does this mean in the UK?
Indicators adapted to the UK context are contained in our national forest stewardship standard, familiar to most forest managers as the UK Woodland Assurance Standard, or UKWAS.
Over the past 25 years many important steps have been made in the UK forestry sector to reduce the negative environmental impact of commercial management practices. While FSC certification has helped to drive the consideration of environmental values and impacts in all aspects of woodland management, one of its key contributions has been to set minimum requirements for conservation management and semi-natural habitat:
- Indicator 6.5.1 Management planning shall identify a minimum of 15% of the WMU [woodland management unit] where management for conservation and enhancement of biodiversity is the primary objective. [UKWAS 2.11.1(a)]
- Indicator 6.5.8 Areas of semi-natural habitats shall constitute a minimum of 5% of the WMU. Where existing habitats or restored remnant features comprise less than 5% of the WMU, the owner/manager shall take action to convert other areas to more natural conditions. [UKWAS 4.4.3]
While preference is given to the restoration of semi-natural woodland, the standard also recognises the critical importance of maintaining or restoring other small-scale habitats located within the management area. These allow for the creation of a woodland matrix where moorland, peatland, pasture and freshwater habitats are integrated within the woodland management unit (indicator 6.5.6/ UKWAS 4.4.2).
- Dr Owen Davies, FSC UK Forest Standards Manager.

There are requirements to protect native species and biodiversity value, including through identifying areas to be managed as natural reserves or under lower impact silvicultural systems (indicator 6.6.1 [UKWAS 4.6.1], indicator 6.6.2 [UKWAS 4.6.2]). Woodland managers are also required to manage existing veteran trees and are encouraged to promote future veteran trees as well as implement practices for deadwood management.
- Indicator 6.6.3 The owner/manager shall plan and take action to maintain continuity of veteran tree habitat by:
~~~
Computed, not measured: the molecule C2H3NO, with ωB97M-V/def2-TZVPD.

Last columns: bonded neighbours and bond lengths (Å).
Geometry (Å):
1 C -1.213 -0.358 0.105  N2 1.238, H5 1.147, H6 1.148
2 N -0.035 -0.176 0.439  C1 1.238, C3 1.521
3 C 1.317 0.284 -0.082  N2 1.521, O4 1.169, H7 1.156
4 O 2.276 -0.324 -0.360  C3 1.169
5 H -1.673 -0.533 -0.931  C1 1.147
6 H -2.043 -0.331 0.898  C1 1.148
7 H 1.370 1.439 -0.070  C3 1.156

Computed properties:
* 2S+1: 1
* structure (SMILES): C=NC=O
* E: -5658.230 eV
* gap between HOMO and LUMO: 0.3780 hartree

----------

[1]
Computed, not measured: one molecule with the formula C2H3N3 at a distorted geometry, with ωB97M-V/def2-TZVPD.

Spin multiplicity = 1
Kohn-Sham gap = 0.407 Eh
Total charge = 0
Structure (SMILES) = c1c[nH]nn1
E_HOMO = -10.207 eV
Energy above the lowest of the compared OMol25 structures with the same formula, charge and spin = 0.912 eV

Each line ends with the Löwdin charge.
Atoms and positions in Å:
C (-1.1724, -0.0298, -0.0080)  -0.14
C (-0.3887, 1.0548, -0.0134)  -0.12
H (-2.2335, -0.0903, 0.1196)  0.09
H (-0.5567, 2.1107, -0.0276)  0.10
H (1.7434, 1.0752, 0.1716)  0.15
N (0.8885, 0.5674, -0.0138)  -0.04
N (0.9245, -0.7407, -0.0070)  -0.03
N (-0.3254, -1.1474, 0.0016)  -0.01

[2]
Computed, not measured: one molecule with the formula C2H3N3, with ωB97M-V/def2-TZVPD.

Spin multiplicity = 1
Kohn-Sham gap = 0.351 Eh
Total charge = 0
E_HOMO = -9.199 eV
Energy above the lowest of the compared OMol25 structures with the same formula, charge and spin = 4.430 eV

Each line ends with the Löwdin charge.
Atoms and positions in Å:
N (0.4523, -0.7674, -0.2451)  -0.02
C (-0.6091, -0.1286, 0.3867)  -0.24
C (-0.6373, 1.2409, -0.0974)  -0.11
N (0.5324, 1.2638, -0.9098)  -0.05
N (1.0950, 0.1098, -1.0119)  -0.01
H (0.8024, -1.7144, -0.1633)  0.15
H (-1.4033, -0.7016, 0.8576)  0.12
H (-0.2325, 0.6975, 1.1831)  0.15

[3]
Computed, not measured: one molecule with the formula C2H3N3 at a distorted geometry, with ωB97M-V/def2-TZVPD.

Spin multiplicity = 1
Kohn-Sham gap = 0.387 Eh
Total charge = 0
Structure (SMILES) = c1c[nH]nn1
E_HOMO = -9.579 eV
Energy above the lowest of the compared OMol25 structures with the same formula, charge and spin = 2.367 eV

Each line ends with the Löwdin charge.
Atoms and positions in Å:
C (-0.9574, -0.0966, -0.3516)  -0.31
C (-0.0580, -0.6879, 0.4544)  -0.05
H (-2.0837, -0.1034, -0.2456)  0.13
H (-0.1759, -1.2946, 1.2822)  0.07
H (1.9623, 0.3515, 0.5259)  0.15
N (1.0916, 0.0654, 0.1033)  0.00
N (0.7297, 1.0190, -0.6645)  -0.01
N (-0.5086, 0.7466, -1.1043)  0.01

[4]
Computed, not measured: one molecule with the formula C2H3N3O at a distorted geometry, with ωB97M-V/def2-TZVPD.

Spin multiplicity = 1
Kohn-Sham gap = 0.382 Eh
Total charge = 0
Structure (SMILES) = Oc1nnc[nH]1
E_HOMO = -9.899 eV
Energy above the lowest of the compared OMol25 structures with the same formula, charge and spin = 2.217 eV

Each line ends with the Löwdin charge.
Atoms and positions in Å:
~~~
- Keeping existing veteran trees, and
-Managing or establishing suitable trees to eventually take the place of existing veterans. [UKWAS 4.6.3]
- Indicator 6.6.4 The owner/manager shall plan and take action to accumulate a diversity of both standing and fallen deadwood over time in all wooded parts of the WMU, including felled areas. [UKWAS 4.6.4(a)]
A large portion of the UK’s woodland now exists as small and fragmented patches, often surrounded by land uses that are inhospitable to woodland wildlife. To ensure woodland managers take into account habitat connectivity there are requirements regarding working with other landowners and consider landscape-scale planning for habitats which are continuous from inside to outside the woodland (e.g. water courses).
- Indicator 6.7.2 The impacts of woodland plans shall be considered at a landscape level, taking due account of the interaction with adjoining land and other nearby habitats. [UKWAS 2.5.2]
- Indicator 6.6.6 Where appropriate and possible, the owner/manager shall consider opportunities for cooperating with neighbours in landscape scale conservation initiatives. [UKWAS 2.3.2(c)]
Have your say
Do you think there is room for improvement for environmental values and ecosystem services in the UK forestry sector? Should there be stronger requirements for higher proportion for areas dedicated to biodiversity? Could our national standard go further on issues like deadwood, veteran trees or habitat restoration?
If you have any questions or comments about FSC’s forest management requirements in the UK, feel free to get in touch.